Sunday, May 16, 2004

Good morning Folks!!

In two weeks I will be flying to Houston to spend time with my son
Jeremy and other friends for four days. I am so ready to take 4
days off in a row. I have not had two days off in a row since the
end of March when I started working part time for Goodwill. I was
speaking to a friend of mine (ex employer) who told me via IM the
other day that he is going to provide me with a hotel room for the 4
days that I am there so that is a HUGE Praise the Lord. That means
that I will have my own bed to sleep in and some privacy when I need
it. :)

[Between two parts of the article: calculated crystals]
'''
Material: WSeF
Method: DFT, PBE with a Hubbard U
State: optimized geometry

Output
For the total energy, the calculation gives -4.88 eV/atom.

abc: 3.267 5.642 7.105
angles: 106.87 95.04 91.84
Sites, in units of the cell vectors:
W (0.329, 0.297, 0.518)
W (0.671, 0.703, 0.482)
Se (0.869, 0.142, 0.741)
Se (0.131, 0.858, 0.259)
F (0.538, 0.637, 0.752)
F (0.462, 0.363, 0.248)
'''

I was thinking the other day about how good God is to me and my
family. With regards to this "need" or "desire" I never petitioned
God for it. I never prayed and asked God to provide this for me.
Apparently someone in this group did and thanks be unto God he moved
on the hearts of several people and now I am going to Houston. How
wonderful is that? It just goes to show ME that God IS interested
in every detail of my life. I thank God every day for his provision
for our family. He continues to provide us with our needs and some
of our wants every single day.

Summer break is almost upon us folks. YIPES!! That also means Camp
Happy Days is almost upon us. Kristina and Justin are counting the
minutes for this event. :) Isn't that amazing? In this world when
you lose a loved one after the funeral everyone goes away and life
is supposed to go back to normal for everyone and you and your
family are left to deal with the grief pretty much on your own.
Thanks to the loving support of HDST we are never alone. We are all
part of one big family. All we have to do is stand up and holler
about whatever it is that we need to holler about and someone will
respond in some way. I am so thankful that my children have Camp
Happy Days to attend each year and that they are going to witness
and be a part of such a wonderful organization and the annual event
that takes place for kids with cancer and their siblings.

On a different note personally I have been trying to watch how much
I eat, what I eat and getting more exercise. This week I walked 1.6
miles 4 times or 6.4 miles. I have a path that I walk in the
mornings. I drove my car around and found it was approximately 1.6
miles and I usually walk it in about 30 minutes. The first couple
of times were tough. Now that I have done it for several weeks in a
row I have gotten to where I miss doing it. I have found that I have
more energy during the day and it helps me to deal with the stress
of life as well. I spend this time walking down the country roads
in my neighborhood and talking to God. I also try to shut up and
listen to HIM and I don't spend the whole time asking God to meet
this need or that. don't get me wrong, there is nothing wrong with
asking God to meet our needs or asking for a particular want.
However it is good practice to spend time quietly at HIS feet and
try to listen for HIM to instruct us and to encourage us in our
daily journey. Prayer is very powerful and I can say for a fact
that if I did not have quiet time with my Lord through prayer ,
reading of His word and fellowship with other believers that I would
be in dire trouble. These morning walks have enabled me to draw
closer to him and to separate myself temporarily from the garbage of
this world. So, with that in mind pray that I
will continue to walk as often as possible and to NOT stick so much
junk into my face. I need to excercise more and eat less. A simple
concept that is hard to do when you are so used to having the habit
of doing just the opposite.

Katy is studying for her exam that she will take in June. I will let
her tell you all the gory details but basically she will be able to
get her emergency teachers certificate in SC if she passes. The
test has been paid for (thank you Jesus) and the study materials
purchased. Pray that Katy will be able to retain this information
well enough to pass the exam.

On next Thursday I am going by GSP off of Rivers Avenue. It stands
for Good Source (P???). LOL, whatever. Anyway, this is a training
facility implemented by Goodwill industries. They offer all sorts of
technology training. They have a 5 week PC repair course. They have
all sorts of software application training, A+ certification and
MCSE certification training. I spoke to the office manager about my
needing to pursue my MCSE so that I can find a BETTER job in this
current market and she told me that my cost as an employee of
Goodwill would be around 1000.00. Currently the cost of an MCSE
cetification IF you go to a classroom setting is around 4k. So, the
fact that they offer it for 2k or 50% less than most training
facilities is awesome. The fact that I can get 50% off of that is
even more awesome. Then again, having 1000.00 might as well be my
having 1 million at this point in the game. Nevertheless I am going
to go check out the facility and see about financial options and how
I might be able to get some sort of funding to get this badly needed
certification. I have 15 years of experience in this field and now
I cant find a job partly because of no certification. Yes, this is
a need and a prayer request so please pray for this. :)

Well, enough babbling from James. I need to get away from this desk
and go for my walk. I did not walk yesterday so I need to go this
morning before church. :)


Anonymous said...

James, you wrote "Katy is studying for her exam that she will take in June. I will let
her tell you all the gory details..." That got me to thinking: the name of this blog is James ** & ** Katy Moffitt. Well, I would love to see some posts by Katy. She has such a sense of humor. C'mon Katy, please write some! :-)

James Moffitt said...
This comment has been removed by a blog administrator.
James Moffitt said...

Ok, lets try this again folks....

There, THAT URL is correct....
